**Listing**
+++
1.
Starting from DFT lattice parameters and positions (PBE), the powder diffractogram of SrNi6C was simulated for Cu Kα (weighted mean of Kα1 and Kα2).
Intensities are scaled so that the largest is 100.

Principal peaks in the range 2θ = 10–90°, by angle:
2theta	Rel. int.
33.73	33
39.83	100
41.58	10
41.69	26
53.13	20
54.63	20
64.49	14
71.08	16
84.71	10
85.88	8

Structural model:
Lattice parameters (Å, degrees): 5.3049 5.3049 13.0330 90.00 90.00 120.00
Space group R-3m (No. 166, hexagonal axes)
One atom of each set of equivalent atoms:
Sr: 0.0000 0.0000 0.0000 [3 per cell]
Ni: 0.0188 0.5094 0.9084 [18 per cell]
C: 0.0000 0.0000 0.5000 [3 per cell]

=====

2.
Starting from DFT lattice parameters and positions (PBE), the powder diffractogram of Cd4Au was simulated for Cu Kα (weighted mean of Kα1 and Kα2).
Intensities are scaled so that the largest is 100.

Principal peaks in the range 2θ = 10–90°, by angle:
2theta	Rel. int.
31.90	76
34.95	56
36.41	100
36.88	60
38.79	41
39.19	51
48.00	31
50.32	24
67.05	28
67.65	20

Structural model:
Lattice parameters (Å, degrees): 9.999 5.997 8.442 90.00 119.63 90.00
Space group C2/m (No. 12)
One atom of each set of equivalent atoms:
Cd: 0.081 0.249 0.384 [8 per cell]
Cd: 0.214 0.500 0.850 [4 per cell]
Cd: 0.225 0.000 0.751 [4 per cell]
Au: 0.000 0.247 0.000 [4 per cell]

=====

3.
Starting from DFT lattice parameters and positions (PBE), the powder diffractogram of LaEr14Pu was simulated for Cu Kα (weighted mean of Kα1 and Kα2).
Intensities are scaled so that the largest is 100.

Principal peaks in the range 2θ = 10–90°, by angle:
2theta	Rel. int.
31.18	100
36.11	34
36.24	17
52.06	36
61.88	29
62.05	14
65.02	12
85.01	6
85.16	12
87.79	11

Structural model:
Lattice parameters (Å, degrees): 7.035 7.035 9.915 90.00 90.00 90.00
Space group P4/mmm (No. 123)
One atom of each set of equivalent atoms:
La: 0.000 0.000 0.000 [1 per cell]
Er: 0.000 0.000 0.500 [1 per cell]
Er: 0.000 0.500 0.000 [2 per cell]
Er: 0.000 0.500 0.500 [2 per cell]
Er: 0.253 0.253 0.251 [8 per cell]
Er: 0.500 0.500 0.500 [1 per cell]
Pu: 0.500 0.500 0.000 [1 per cell]

=====

4.
Starting from DFT lattice parameters and positions (PBE), the powder diffractogram of CrCdMo2 was simulated for Cu Kα (weighted mean of Kα1 and Kα2).
Intensities are scaled so that the largest is 100.

Principal peaks in the range 2θ = 10–90°, by angle:
2theta	Rel. int.
29.95	5
36.29	8
40.38	100
58.31	6
58.49	9
59.45	3
73.34	10
73.45	18
74.35	3
87.24	6

Structural model:
Lattice parameters (Å, degrees): 3.165 4.465 8.924 90.00 90.00 90.00
Space group Immm (No. 71)
One atom of each set of equivalent atoms:
Cr: 0.000 0.000 0.000 [2 per cell]
Cd: 0.000 0.000 0.500 [2 per cell]
Mo: 0.000 0.500 0.274 [4 per cell]

=====

5.
Starting from DFT lattice parameters and positions (PBE), the powder diffractogram of PuSc5Ru6 was simulated for Cu Kα (weighted mean of Kα1 and Kα2).
Intensities are scaled so that the largest is 100.

Principal peaks in the range 2θ = 10–90°, by angle:
2theta	Rel. int.
12.91	8
13.69	8
18.86	6
20.51	6
24.74	7
39.43	100
56.99	16
71.47	22
71.58	11
84.83	9

Structural model:
Lattice parameters (Å, degrees): 4.564 13.717 6.470 90.00 90.00 90.00
Space group Cmmm (No. 65)
One atom of each set of equivalent atoms:
Pu: 0.000 0.000 0.000 [2 per cell]
Sc: 0.000 0.000 0.500 [2 per cell]
Sc: 0.000 0.328 0.000 [4 per cell]
Sc: 0.000 0.332 0.500 [4 per cell]
Ru: 0.000 0.163 0.246 [8 per cell]
Ru: 0.000 0.500 0.243 [4 per cell]

=====

6.
Starting from DFT lattice parameters and positions (PBE), the powder diffractogram of K3LaU3Se8 was simulated for Cu Kα (weighted mean of Kα1 and Kα2).
Intensities are scaled so that the largest is 100.

Principal peaks in the range 2θ = 10–90°, by angle:
2theta	Rel. int.
11.39	87
24.48	25
28.68	100
36.38	26
39.44	36
42.54	36
44.18	20
52.11	19
69.44	19
75.79	20

Structural model:
Lattice parameters (Å, degrees): 8.5012 8.5012 23.3149 90.00 90.00 120.00
Space group R-3m (No. 166, hexagonal axes)
+++

**Request**
Your job: duplicate only the last part of the data earlier on, starting with the line that has "67.05".

**Reply**
67.05	28
67.65	20

Structural model:
Lattice parameters (Å, degrees): 9.999 5.997 8.442 90.00 119.63 90.00
Space group C2/m (No. 12)
One atom of each set of equivalent atoms:
Cd: 0.081 0.249 0.384 [8 per cell]
Cd: 0.214 0.500 0.850 [4 per cell]
Cd: 0.225 0.000 0.751 [4 per cell]
Au: 0.000 0.247 0.000 [4 per cell]

=====

3.
Starting from DFT lattice parameters and positions (PBE), the powder diffractogram of LaEr14Pu was simulated for Cu Kα (weighted mean of Kα1 and Kα2).
Intensities are scaled so that the largest is 100.

Principal peaks in the range 2θ = 10–90°, by angle:
2theta	Rel. int.
31.18	100
36.11	34
36.24	17
52.06	36
61.88	29
62.05	14
65.02	12
85.01	6
85.16	12
87.79	11

Structural model:
Lattice parameters (Å, degrees): 7.035 7.035 9.915 90.00 90.00 90.00
Space group P4/mmm (No. 123)
One atom of each set of equivalent atoms:
La: 0.000 0.000 0.000 [1 per cell]
Er: 0.000 0.000 0.500 [1 per cell]
Er: 0.000 0.500 0.000 [2 per cell]
Er: 0.000 0.500 0.500 [2 per cell]
Er: 0.253 0.253 0.251 [8 per cell]
Er: 0.500 0.500 0.500 [1 per cell]
Pu: 0.500 0.500 0.000 [1 per cell]

=====

4.
Starting from DFT lattice parameters and positions (PBE), the powder diffractogram of CrCdMo2 was simulated for Cu Kα (weighted mean of Kα1 and Kα2).
Intensities are scaled so that the largest is 100.

Principal peaks in the range 2θ = 10–90°, by angle:
2theta	Rel. int.
29.95	5
36.29	8
40.38	100
58.31	6
58.49	9
59.45	3
73.34	10
73.45	18
74.35	3
87.24	6

Structural model:
Lattice parameters (Å, degrees): 3.165 4.465 8.924 90.00 90.00 90.00
Space group Immm (No. 71)
One atom of each set of equivalent atoms:
Cr: 0.000 0.000 0.000 [2 per cell]
Cd: 0.000 0.000 0.500 [2 per cell]
Mo: 0.000 0.500 0.274 [4 per cell]

=====

5.
Starting from DFT lattice parameters and positions (PBE), the powder diffractogram of PuSc5Ru6 was simulated for Cu Kα (weighted mean of Kα1 and Kα2).
Intensities are scaled so that the largest is 100.

Principal peaks in the range 2θ = 10–90°, by angle:
2theta	Rel. int.
12.91	8
13.69	8
18.86	6
20.51	6
24.74	7
39.43	100
56.99	16
71.47	22
71.58	11
84.83	9

Structural model:
Lattice parameters (Å, degrees): 4.564 13.717 6.470 90.00 90.00 90.00
Space group Cmmm (No. 65)
One atom of each set of equivalent atoms:
Pu: 0.000 0.000 0.000 [2 per cell]
Sc: 0.000 0.000 0.500 [2 per cell]
Sc: 0.000 0.328 0.000 [4 per cell]
Sc: 0.000 0.332 0.500 [4 per cell]
Ru: 0.000 0.163 0.246 [8 per cell]
Ru: 0.000 0.500 0.243 [4 per cell]

=====

6.
Starting from DFT lattice parameters and positions (PBE), the powder diffractogram of K3LaU3Se8 was simulated for Cu Kα (weighted mean of Kα1 and Kα2).
Intensities are scaled so that the largest is 100.

Principal peaks in the range 2θ = 10–90°, by angle:
2theta	Rel. int.
11.39	87
24.48	25
28.68	100
36.38	26
39.44	36
42.54	36
44.18	20
52.11	19
69.44	19
75.79	20

Structural model:
Lattice parameters (Å, degrees): 8.5012 8.5012 23.3149 90.00 90.00 120.00
Space group R-3m (No. 166, hexagonal axes)